Our Appendix N Archeology and Adventures in Fiction series are meant to take a look at the writers and creators behind the genre(s) that helped to forge not only our favorite hobby but our lives. We invite you to explore the entirety of the series on our Adventures In Fiction home page.
Appendix N Archaeology: Algernon Blackwood
By Bradley K. McDevitt
Contrary to what his name suggests he was, English author Algernon Henry Blackwood (1869-1951) was neither an escapee from a Charles Dickens novel nor a member of the faculty of Hogwarts. What Blackwood was, in fact, was one of the most admired writers of the early twentieth century. H.P. Lovecraft, one of the cornerstone authors of Appendix N, had this to say about one of Blackwood’s stories: “The Willows is the finest weird story I have ever read.”
Strong praise from a writer who took great pride in the breadth of his literary scholarship. However, Lovecraft also made this comment about Blackwood in one of his thousands of pages of correspondence to friends: “It is safe to say that Blackwood is the greatest living weirdest despite unevenness and a poor prose style.”
The source of those criticisms has a simple explanation. In addition to being so admired, Blackwood was possibly one of the most prolific authors working at the time, turning out no less than fourteen novels, ten anthologies, and numerous children’s books and plays. To whit, due to the tight deadlines, he was regularly given by his newspaper clients like the Westminster Gazette, Blackwell himself ended up unsure how many stories he did complete during his long career.
All, however, were of exemplary quality, with some shared themes that arose from Blackwood’s love of the travel and the outdoors. Unlike some authors who set their stories in exotic locales (like many of Ashton-Smith’s tales, set everywhere from medieval France, to the Amazon, to Mars), Blackwood delighted in setting his most chilling stories in the most banal of locales, then turning everything ninety degrees to sheer terror.
<<<
Entry 1:
Molecular formula: C3H8NO
Method: DFT, the ωB97M-V functional and the def2-TZVPD basis

Bonds (Å) are listed after each position.
Positions of all 13 atoms, in Å:
1 O -0.2650 -0.8832 1.3021  C5 1.356
2 N 0.0535 0.3451 -1.7619  C3 1.254, C4 1.429
3 C 0.9848 0.2962 -0.9233  N2 1.254, H6 1.092, H9 1.102
4 C -1.3316 0.5004 -1.4475  N2 1.429, H7 1.095, H8 1.097, H11 1.093
5 C 0.5449 -0.3061 2.2244  O1 1.356, H10 1.119, H12 1.115, H13 1.131
6 H 1.7505 -0.4819 -0.8983  C3 1.092
7 H -1.4652 0.6592 -0.3721  C4 1.095
8 H -1.7949 1.2588 -2.0908  C4 1.097
9 H 0.9545 0.9742 -0.0548  C3 1.102
10 H 0.6017 0.8026 2.0831  C5 1.119
11 H -1.8606 -0.4188 -1.7122  C4 1.093
12 H 1.5173 -0.8294 2.3821  C5 1.115
13 H 0.1197 -0.3579 3.2707  C5 1.131

- Charge: -1
- F_max: 3.18 eV/A
- E_LUMO: 4.48 eV
- E_tot: -6775.680 eV
- Spin multiplicity: 1
- Gap between HOMO and LUMO: 0.2451 Ha
- Relative energy (zero: lowest compared OMol25 entry of this formula, charge and spin): 53.3 kcal per mole


Entry 2:
Molecular formula: C3H8NO
Method: DFT, the ωB97M-V functional and the def2-TZVPD basis

Bonds (Å) are listed after each position.
Positions of all 13 atoms, in Å:
1 O 2.7096 -1.4999 -0.5095  C4 1.205
2 N -1.9620 -0.0004 0.6013  C5 1.574, H8 1.028
3 C 0.3323 -1.1584 -0.2986  C4 1.519, C5 1.512, H6 1.149, H13 1.085
4 C 1.7778 -0.7353 -0.4964  O1 1.205, C3 1.519, H12 1.104
5 C -0.5842 0.0355 -0.1594  N2 1.574, C3 1.512, H7 1.091, H10 1.090
6 H 0.8739 -1.1689 0.7144  C3 1.149
7 H -0.8787 0.3397 -1.1649  C5 1.091
8 H -2.0235 -0.8725 1.1424  N2 1.028
9 H -0.9544 3.0274 0.0849  H11 0.739
10 H -0.3821 0.6561 0.7135  C5 1.090
11 H -0.8936 3.0569 0.8211  H9 0.739
12 H 1.8923 0.3602 -0.5649  C4 1.104
13 H 0.0925 -2.0404 -0.8839  C3 1.085

- Charge: -1
- F_max: 3.49 eV/A
- E_LUMO: 3.98 eV
- E_tot: -6773.412 eV
- Spin multiplicity: 1
- Gap between HOMO and LUMO: 0.1840 Ha
- Relative energy (zero: lowest compared OMol25 entry of this formula, charge and spin): 105.6 kcal per mole


Entry 3:
Molecular formula: C3H8NO
Method: DFT, the ωB97M-V functional and the def2-TZVPD basis

Bonds (Å) are listed after each position.
Positions of all 13 atoms, in Å:
1 O -0.5777 -2.1955 -1.0040  C4 1.289
2 N 0.6599 -0.0969 -0.4674  C3 1.452, C4 1.661, H6 1.013
3 C -0.2092 -0.0670 0.6955  N2 1.452, C5 1.538, H11 1.093, H12 1.095
4 C 0.1633 -1.2780 -1.5242  O1 1.289, N2 1.661, H8 1.114, H10 1.099
5 C -0.3292 1.3744 1.2198  C3 1.538, H7 1.090, H9 1.095, H13 1.105
6 H 1.5856 0.2640 -0.2702  N2 1.013
7 H -0.9068 1.6656 2.0971  C5 1.090
8 H 1.1369 -1.6762 -1.8898  C4 1.114
9 H -0.7128 1.9870 0.3967  C5 1.095
10 H -0.3301 -0.5886 -2.2235  C4 1.099
11 H -1.1911 -0.3042 0.2789  C3 1.093
12 H 0.0043 -0.8408 1.4396  C3 1.095
13 H 0.7069 1.7561 1.2514  C5 1.105

- Charge: -1
- F_max: 1.77 eV/A
- E_LUMO: 4.36 eV
- E_tot: -6776.932 eV
- SMILES: CCNC[O-]
- Spin multiplicity: 1
- Gap between HOMO and LUMO: 0.2432 Ha
>>>
== So much for the records of molecules ==
As a simple example, The Occupant of the Room takes place in a small hotel suite rented by a teacher on a walking tour of the Alps while on holiday. Compared to R.E. Howard’s The Black Stone, with its setting of a decayed hamlet deep in a floridly described version of Germany’s Black Forest, the town where The Occupant of the Room is set is reassuringly mundane until the narrator descends into paranoia and meets the other occupant of his little suite.
Blackwood shows great skill in wringing terror in other situations, always building from locations so typical and relatable to most readers that he doesn’t feel the need, unlike Lovecraft, to go into exacting detail. A foggy London street is nothing so unusual as to need longitude or latitude, but that makes it no less terrifying to the shell-shocked protagonist of Confession. Such is Blackwood’s skill that the reader feels disoriented and lost in the fog just like the narrator.
Here the text breaks off for data records >
/*
{
  "formula": "C10H17N",
  "method": "the ωB97M-V functional and the def2-TZVPD basis",
  "mol_weight_g_mol": 151.25,
  "e_above_lowest_ev": 7.861,
  "smiles": "CC(C)(C)C.c1ccncc1",
  "homo_ev": -8.8,
  "homo_lumo_gap_ev": 9.52,
  "species": ["C", "C", "C", "C", "C", "H", "H", "H", "H", "H", "H", "H", "H", "H", "H", "H", "H", "C", "C", "C", "N", "C", "C", "H", "H", "H", "H", "H"],
  "coordinates": [[1.150604, 1.169964, -0.457372], [1.788245, -0.036413, 0.126128], [2.918910, -0.539734, -0.602188], [0.842918, -1.139342, 0.210982], [2.489953, 0.540143, 1.470266], [1.679755, 2.187895, -0.369056], [1.044294, 0.946691, -1.672192], [0.003463, 1.415438, -0.224769], [3.244654, -1.743441, -0.514220], [2.638206, -0.414741, -1.895669], [3.876011, 0.186002, -0.423529], [1.340501, -1.995059, 0.726052], [0.516452, -1.578017, -0.757797], [0.251875, -0.868368, 1.136232], [1.621809, 0.684060, 2.357785], [3.373284, -0.093749, 1.818396], [2.704948, 1.707519, 0.954421], [-2.151161, 1.336861, 0.120116], [-2.664293, 0.290649, 0.872504], [-2.305193, -1.048166, 0.633134], [-1.566210, -1.376890, -0.409523], [-1.060882, -0.373076, -1.137101], [-1.282790, 0.989459, -0.918307], [-2.420958, 2.385035, 0.316886], [-3.317622, 0.404221, 1.780394], [-2.700520, -1.831507, 1.262573], [-0.426343, -0.641502, -1.971514], [-0.824196, 1.745683, -1.566306]],
  "forces_ev_per_angstrom": [[-1.4, 2.5, -3.9], [1.4, 1.6, 2.6], [4.7, -0.7, -5.9], [0.7, -2.5, 3.8], [-2.5, 2.0, 0.2], [-0.3, -1.7, -0.2], [0.4, 0.8, 2.8], [4.5, -0.6, 1.1], [-1.0, 3.5, 0.2], [1.1, -0.5, 3.6], [-2.0, -2.0, -0.8], [0.4, 0.2, -0.6], [0.3, 0.6, 1.5], [-1.1, -0.3, -1.8], [2.5, -0.3, -2.2], [-1.2, 1.2, -0.4], [0.4, -3.5, 2.6], [-0.6, -0.1, -0.1], [-0.5, -0.5, 1.9], [-0.5, 1.3, -0.8], [-0.7, 0.4, -0.7], [-1.9, 0.3, -0.8], [-2.5, -0.5, -0.8], [0.2, -0.6, 0.0], [0.6, 0.5, -1.1], [0.0, -0.2, 0.0], [-0.2, -0.1, -0.1], [-0.9, -0.5, -0.1]]
}


{"formula": "C3H6N2O", "method": "ωB97M-V/def2-TZVPD", "smiles": "N#C[C@H](O)CN", "lumo_ev": 0.745, "gap_ev": 11.29, "e_above_lowest_kcal_mol": 29.4, "homo_ha": -0.3875, "charge": 0, "species": ["N", "C", "C", "O", "C", "N", "H", "H", "H", "H", "H", "H"], "positions_angstrom": [[-1.173, -0.800, 0.210], [-0.688, 0.544, -0.081], [0.830, 0.546, 0.164], [1.119, 0.006, 1.418], [1.489, -0.226, -0.929], [1.948, -0.843, -1.793], [-2.172, -0.804, 0.382], [-0.992, -1.426, -0.570], [-0.909, 0.905, -1.096], [-1.134, 1.237, 0.638], [1.221, 1.568, 0.131], [0.461, -0.708, 1.527]], "lowdin_charge": [0.01, -0.23, -0.40, -0.02, -0.16, 0.15, 0.08, 0.08, 0.12, 0.12, 0.15, 0.09]}

---
*/
Back to the text >
Even slightly more exotic locations like the endless swath of foliage that make up the setting of The Willows or the Canadian woods of The Wendigo are still normal enough lull the reader into a sense of security that Blackwood takes great pains not to violate until it is too late for the characters… or the reader.
Adapting Blackwood to a gaming environment is tricky, but could end up being very satisfying for all involved. His writing is a master class in establishing a mood of suspense and dread from the simplest details. While it is easier to accomplish in a “realistic” game where the players are all familiar with the general rules of a location, with a bit more effort, the game master can generate the same mood in a fantasy setting.
A carefully detailed and populated town, used as more than just a supply depot before the characters scamper off to the local dungeon, could be a source of many sessions of good role-playing, while also slowly cranking up the tension. Cribbing details like the fog from Confession or the log cabin from The Haunted Island would be the easy part; mimicking Blackwood’s penchant for paranoia and dread would take a commitment on the parts of both game-masters and players not to break the mood with the typical clowning around that happens at almost every gaming table.
After all, the point of gaming is to establish an immersive experience; to allow the players to feel they have been transported at least temporarily to a different reality. Portraying that is the task of the game-master, and, if emulating the writing of Algernon Blackwood, drawing out a mood of suspense and terror from the game setting’s mere reality.
For those intrigued by this article, a normal trip to the local library will turn up numerous examples of his work. Even during his lifetime, Blackwood was widely anthologized in any number of collections of horror stories (in one such anthology of vampires stories is how I discovered him). A list of collections of just his works is too large to reprint in this article. Wikipedia has a good accounting of them starting all the way back in 1906, which you can read here, though Tales of the Uncanny and the Supernatural is an excellent introduction to the many volumes for such a prolific writer. Another valuable online resource may be found at algernonblackwood.org, which has downloadable copies of a handful of his most famous stories.
For those who just want a few career highlights, one cannot go wrong with The Willows, or his other most famous classic The Wendigo, the antagonist of which would be borrowed to become Ithaqua, a popular Elder God in the Cthulhu Mythos. My personal favorite, however, remains The Occupant of the Room for its tight focus on twisting a simple hotel room from mundane reality to a source of terror.